**Excerpt**
........
Entry 1:
Entry from OMol25: one molecule with the formula C3H5NSe in a non-equilibrium geometry (the ωB97M-V functional and the def2-TZVPD basis).

Geometry as XYZ:
```
10
Properties=species:S:1:pos:R:3:forces:R:3
C -1.027657 -1.218803 0.205556 1.890 -0.559 -1.641
C 0.478641 -0.934832 -0.084630 -0.583 0.055 0.587
C 0.377591 1.960606 -0.139222 -0.221 0.515 0.707
N -1.594003 -0.783605 1.185180 -0.916 0.509 1.223
Se 0.698089 0.593828 -1.253694 0.277 -0.715 -1.038
H -1.463207 -1.860769 -0.566963 -0.477 0.027 0.106
H 0.973529 -0.727714 0.863896 0.098 -0.051 -0.144
H 0.934217 -1.795812 -0.579565 -0.054 0.169 0.086
H 0.158254 2.927362 -0.553807 -0.018 0.068 -0.115
H 0.464546 1.839740 0.923249 0.003 -0.017 0.228
```
Forces are in eV/Å.

- net charge = 0
- relative energy (zero: lowest compared OMol25 entry of this formula, charge and spin) (kJ/mol) = 271.6
- calculated total energy (eV) = -70024.3831

---

Entry 2:
Entry from OMol25: C8H19N14O3RuSe2 as an isolated structure (the ωB97M-V functional and the def2-TZVPD basis).

Geometry as XYZ:
```
47
Properties=species:S:1:pos:R:3:forces:R:3
Ru 0.056418 -0.542810 -0.059683 0.190 -0.158 -0.255
N -0.094915 -0.387679 2.073091 0.083 -0.063 0.111
N -1.087830 0.462485 2.612910 -0.073 0.058 -0.015
C -2.026938 0.999235 1.763709 -0.105 -0.013 0.008
N -3.202651 1.296606 2.312788 0.045 -0.019 0.144
N -1.631437 1.222487 0.525382 0.019 0.081 0.092
N -2.575946 1.678734 -0.383643 0.064 -0.112 -0.077
O -2.322011 1.441714 -1.536415 -0.033 0.046 0.046
O -3.553407 2.310675 0.004631 -0.035 0.093 -0.172
H -0.343542 -1.364936 2.239688 -0.009 -0.061 0.040
H 0.786788 -0.171222 2.523777 -0.023 -0.014 0.044
H -1.484299 0.116321 3.474469 0.047 -0.005 0.038
H -3.517074 0.780039 3.115681 0.004 -0.026 0.011
H -3.876143 1.759734 1.718690 -0.003 -0.015 0.008
N -2.210177 -1.712299 -2.390310 -0.034 0.000 -0.059
C -1.004034 -1.234175 -2.850938 0.055 -0.029 -0.004
N -0.671666 -1.167707 -4.127204 -0.045 -0.012 -0.004
N 0.573028 -0.664947 -4.125927 0.034 0.010 0.024
N 0.972517 -0.443177 -2.922847 0.002 -0.015 -0.033
N -0.016971 -0.802996 -2.075181 0.034 0.082 0.040
C -2.551338 -1.788177 -1.070993 0.010 -0.003 0.098
N -3.692609 -2.278425 -0.611227 -0.023 0.022 -0.025
N -3.596956 -2.178327 0.724097 0.043 -0.076 0.026
N -2.466098 -1.672014 1.066594 -0.041 0.100 0.029
N -1.774017 -1.392915 -0.062365 0.010 0.022 -0.079
H -2.888736 -2.003260 -3.072798 -0.010 0.005 0.008
C 3.456401 -0.176442 1.355724 -0.012 0.030 0.000
Se 2.715349 -0.574127 -0.394582 -0.133 0.076 -0.017
C 3.360141 0.986044 -1.360785 0.002 -0.033 0.063
C 2.787152 2.308330 -0.885335 0.001 -0.059 -0.005
Se 0.851426 2.235835 -0.618576 -0.059 0.077 -0.103
C 0.878250 3.003724 1.166339 0.012 0.051 0.033
H 4.542338 -0.219223 1.323637 0.004 0.001 0.000
H 3.090480 -0.956421 2.022208 0.020 -0.004 0.004
H 3.133622 0.801646 1.708125 0.002 -0.005 0.005
H 3.064819 0.766396 -2.384231 -0.012 0.002 0.008
H 4.448717 0.992621 -1.294723 0.002 -0.008 -0.017
H 2.990070 3.086872 -1.619227 0.035 0.005 0.015
H 3.225220 2.614889 0.063928 -0.022 0.002 0.009
H 1.383507 3.966001 1.131810 0.000 -0.004 -0.004
H 1.382014 2.346723 1.873589 -0.003 -0.015 -0.018
H -0.150579 3.154187 1.478070 -0.007 0.008 -0.002
C 0.602817 -3.352123 -0.528820 -0.047 -0.014 0.049
O 0.679831 -2.303423 0.412318 -0.012 -0.037 -0.071
H 1.173585 -3.131296 -1.435787 0.015 0.012 -0.002
H -0.433668 -3.562637 -0.812979 0.009 0.000 -0.016
H 1.018548 -4.250525 -0.066685 -0.002 0.012 0.027
```
Forces are in eV/Å.

- expectation value of S² = 0.754
- net charge = 0
- spin multiplicity = 2
- relative energy (zero: lowest compared OMol25 entry of this formula, charge and spin) (kJ/mol) = 46.7
- calculated total energy (eV) = -168877.2567

---

Entry 3:
Entry from OMol25: a 3-piece molecular cluster, C5H14N2O3 overall in a non-equilibrium geometry (the ωB97M-V functional and the def2-TZVPD basis).

Geometry as XYZ:
```
24
Properties=species:S:1:pos:R:3:forces:R:3
N -0.631702 2.113667 -0.491067 0.054 -0.358 -0.888
........
**Brief**
Next, work out how many lines earlier on have the word "as" in them; a number is enough.
**Result**
4